Vel lectus amet proin consectetur velit diam sapien suscipit. At donec morbi risus consectetur lacus dolor libero. Amet in ac magna leo turpis eget non id etiam.
Purus tincidunt urna tincidunt amet ridiculus aliquet nunc aliquam lacus. Cras nunc feugiat nulla sit congue cursus purus. Ac ut nulla viverra purus.
Turpis habitasse vel tellus vel nisi at lacus. Orci mauris felis ornare eu blandit ut tincidunt. Amet integer dui praesent.”
Vel lectus amet proin consectetur velit diam sapien suscipit. At donec morbi risus consectetur lacus dolor libero. Amet in ac magna leo turpis eget non id etiam.
Sit etiam a aenean egestas dui cursus urna nisl. Vulputate aenean at sed eget tortor sit. Aliquam tempus eu quam sed nulla lacus vitae. Euismod dui euismod neque vulputate. Mi dapibus pharetra nisi eleifend. Urna orci sollicitudin augue diam massa posuere. Eu nunc sollicitudin venenatis lorem interdum eget id semper. Sit ac porta ut vulputate tristique cras urna nec.
Nisl cras bibendum elit sed enim pulvinar. Dolor mauris sagittis neque sed pellentesque sit facilisi felis. Volutpat vitae pretium eu sapien vel. Id turpis sapien amet aliquam iaculis. Urna at in nunc libero. Pellentesque consequat nisl diam at. Nulla malesuada in egestas purus egestas id adipiscing massa. Molestie egestas malesuada bibendum lectus non vitae eget urna aliquet. Tortor condimentum lorem tempus turpis ornare ut in arcu.

Extract your ego from the creative process. Productivity is just ego fodder. Creation > productivity.
You are the bridge between the ordinary world and the special world. Keep it clear to remain a fluent translator.
Simplicity = expansion. All you need is what’s in front of you to do your Sacred Work. A practice space and time to practice. Everything else is NTH. (nice to have)
(Someone pasted molecular data at this point)
=====
[1]
Molecular formula: C12H23N2O2P2SeV
Method: DFT, ωB97M-V/def2-TZVPD

- E (a.u.) = -4757.8958
- HOMO (spin up / spin down) (eV) = -18.14 / -18.14
- 2S+1 = 2
- expectation value of S² = 0.796
- charge = +3
- LUMO energy (spin up / spin down) (eV) = -12.991 / -13.054
- orbital gap (spin up / spin down) (eV) = 5.15 / 5.09

Cartesian coordinates (Å):
V -0.36 -0.71 1.21
P 2.06 -0.54 1.16
C 2.22 -1.45 -0.40
C 1.00 -1.58 -1.20
N -0.22 -1.10 -0.75
C -1.43 -1.25 -1.35
C -1.50 -2.24 -2.31
C -0.29 -2.68 -2.87
C 0.95 -2.28 -2.41
C -2.63 -0.58 -0.64
P -2.10 0.95 0.28
H 1.89 -2.58 -2.79
H -2.50 -2.63 -2.49
H -0.35 -3.37 -3.67
H -3.46 -0.42 -1.37
H -2.99 -1.26 0.14
H 2.51 1.56 -3.64
H 3.05 -1.13 -1.06
H 0.13 3.97 -0.28
O 2.72 2.47 -3.47
H 3.50 2.66 -2.85
H -0.08 0.60 0.71
O 0.78 4.57 0.08
H 1.12 3.88 0.72
C -2.35 2.18 -1.07
H -3.44 2.24 -1.31
H -1.95 3.17 -0.80
H -1.81 1.85 -1.98
C -3.63 1.26 1.25
H -3.48 2.17 1.85
H -4.54 1.38 0.65
H -3.78 0.43 1.96
C 2.23 -2.03 2.29
H 3.32 -2.19 2.44
H 1.68 -1.98 3.24
H 1.85 -2.88 1.67
C 3.57 0.49 1.53
H 3.45 0.93 2.54
H 4.49 -0.12 1.50
H 3.64 1.33 0.80
Se -1.54 -1.89 5.42
C -1.04 -0.90 4.12
N -0.69 -0.30 3.11

Mulliken atomic charge list, values in e, 2 entries:
1. V -0.39
2. P 0.82


[2]
Molecular formula: C5H9NO
Method: DFT, ωB97M-V/def2-TZVPD

- E (a.u.) = -325.8878
- HOMO (eV) = -9.96
- charge = 0
- LUMO energy (eV) = 0.876
- structure (SMILES) = CCCCN=C=O
- orbital gap (eV) = 10.83
- energy relative to the best compared isomer or geometry (same formula, charge and spin) (kJ/mol) = 130.68

Cartesian coordinates (Å):
C 0.81 1.37 0.52
C 0.86 0.51 -0.76
C 0.67 -1.02 -0.59
C -0.46 -1.30 0.55
C -2.43 -0.01 -0.21
H 1.44 1.06 1.34
H -0.18 1.48 1.00
H 1.17 2.34 0.33
H 1.85 0.65 -1.17
H 0.08 0.93 -1.42
H 0.38 -1.56 -1.47
H 1.65 -1.39 -0.21
H -0.62 -2.39 0.85
H -0.30 -0.66 1.47
N -1.65 -0.85 0.06
O -3.27 0.83 -0.29

Mulliken atomic charge list, values in e, 2 entries:
1. C -1.27
2. C -0.29


[3]
Molecular formula: C42H46IN4O3PSTc
Method: DFT, ωB97M-V/def2-TZVPD

- E (a.u.) = -3190.0874
- HOMO (spin up / spin down) (eV) = -12.42 / -12.51
- 2S+1 = 4
- expectation value of S² = 3.776
- charge = +2
- LUMO energy (spin up / spin down) (eV) = -7.338 / -7.761
- orbital gap (spin up / spin down) (eV) = 5.08 / 4.75
- energy relative to the best compared isomer or geometry (same formula, charge and spin) (kJ/mol) = 219.76

Cartesian coordinates (Å):
Tc 11.82 15.13 10.39
C 10.92 14.37 15.09
C 12.36 14.49 14.62
N 13.32 14.37 15.59
C 14.55 14.65 15.16
C 14.93 15.02 13.89
C 16.20 15.77 13.79
O 16.41 16.44 12.55
C 14.01 14.92 12.86
C 14.54 14.89 11.51
N 13.89 15.14 10.43
C 14.68 15.34 9.26
C 15.84 14.61 9.01
C 16.58 14.94 7.78
C 16.17 15.91 6.89
C 14.87 16.61 7.04
C 14.31 16.38 8.42
I 11.67 15.21 7.67
C 12.65 14.67 13.18
O 11.65 14.53 12.34
H 10.95 14.11 16.16
H 10.42 13.54 14.51
H 10.30 15.30 14.89
H 15.31 14.77 15.89
H 17.09 15.17 14.05
H 16.15 16.54 14.58
H 17.30 16.75 12.54
H 15.59 14.62 11.44
H 16.20 13.77 9.63
H 17.49 14.37 7.61
=====

Free yourself from the tyranny of coolness. Aesthetic weirdos will inherit the earth.
Have faith in divergence. Divergent strategies pull us back to the importance of process. The work is the Work.
Collect accidents, wrong turns, incorrect answers. The wrong answer is the right answer in search of a different question. Increase your failure tolerance. If you’re doing it right, you’ll get it wrong a lot. Love the experiment.
Space is intelligent. Don’t underestimate it.
Drift. Abject boredom is the elusive key that opens the rarest portal of innovation.
In every moment you are surrounded by portals to other dimensions, realities, and universes. Portals appear to those who look. Stay vigilant!
Spot cosmic breadcrumbing. One door opens the next.
Don’t be precious. None of this lasts. It ain’t that deep.
Between two parts of the entry: records of molecules:
=====
Record 1
Molecular formula: C30H34BN14Tl
Method: DFT, ωB97M-V with the def2-TZVPD basis set

The total charge is +3. As for the HOMO energy (alpha / beta): -16.112 / -16.111 eV. The frontier orbital gap (alpha / beta) is 7.18 / 3.50 eV. The spin multiplicity is 2.

Geometry as XYZ:
```
80
Properties=species:S:1:pos:R:3:forces:R:3:mulliken_charge:R:1
Tl 0.02357 -0.86142 0.35995 0.34 -0.80 -0.25 2.46
C -2.80382 0.70068 3.42304 -0.05 0.19 -0.09 -1.58
C -1.75203 -0.13542 3.07734 -0.10 0.33 -0.25 -0.39
N -1.16913 0.30378 1.96454 0.11 0.02 0.23 -0.47
N -1.80803 1.43478 1.58344 -0.22 0.41 0.11 0.52
C -2.80712 1.67508 2.44564 -0.13 -0.25 0.38 -0.02
B -1.19393 2.23838 0.41195 0.56 -1.80 0.10 0.38
N -1.60643 1.51018 -0.89506 0.01 0.51 -0.02 0.63
C -2.38523 1.98848 -1.87536 -0.11 -0.31 -0.42 -0.10
C -2.71552 0.95768 -2.73176 -0.02 0.13 0.19 -1.73
C -2.08782 -0.15462 -2.19525 0.06 0.34 0.22 -0.76
N -1.42622 0.18758 -1.08485 0.17 -0.36 0.21 -0.37
N 0.33617 2.21018 0.65085 -0.20 0.42 -0.06 1.24
C 1.04487 3.19818 1.21824 0.59 -0.10 0.17 -0.14
C 2.31487 2.73408 1.49505 -0.18 0.10 0.01 -1.68
C 2.30847 1.41638 1.06425 -0.38 0.18 -0.07 -0.34
N 1.11227 1.11198 0.55894 0.05 -0.22 -0.19 -0.28
N -1.59362 3.69658 0.26385 -1.91 1.36 2.24 0.55
C -2.34332 4.58118 0.94735 0.65 -3.24 0.51 0.06
C -2.32863 5.78738 0.26275 0.38 1.86 -1.30 -0.82
C -1.49163 5.55578 -0.84806 0.04 0.12 0.11 -0.30
N -1.03483 4.33608 -0.79376 0.97 0.58 -1.78 -0.83
H -3.46012 0.62188 4.26374 -0.16 -0.01 0.19 0.50
H -1.37562 -1.00052 3.58574 0.01 -0.27 0.07 0.62
H -3.48322 2.49468 2.33284 -0.19 0.19 -0.05 0.59
H -2.65153 3.02238 -1.93796 -0.12 0.18 -0.01 0.60
H -3.33182 1.00628 -3.60436 -0.12 0.02 -0.22 0.55
H -2.08643 -1.16012 -2.55955 0.07 -0.32 -0.06 0.74
H 0.62837 4.16748 1.40084 -0.06 0.20 0.01 0.50
H 3.12048 3.26048 1.96004 0.20 0.20 0.05 0.54
H 3.10238 0.69818 1.08785 0.13 -0.19 0.02 0.38
H -2.83353 4.35168 1.86894 -0.14 -0.11 0.29 0.51
H -2.78562 6.71458 0.54274 -0.25 0.22 0.18 0.50
H -1.17523 6.24348 -1.60736 0.05 0.12 -0.21 0.53
C 2.70758 2.89688 -2.41076 -0.01 -0.02 0.16 -1.65
C 3.25147 1.48508 -2.23555 0.73 0.06 -0.42 0.37
C 4.41618 1.25758 -3.22936 -0.26 0.16 0.43 -1.55
C 2.23997 0.40488 -2.43825 -0.39 -0.51 0.33 0.49
C 1.28977 0.45328 -3.46566 0.43 -0.03 0.42 -0.09
C 0.47967 -0.63182 -3.74316 0.02 -0.65 0.30 -0.73
C 0.51247 -1.78702 -2.95686 0.28 0.63 0.12 0.40
C -0.25703 -3.00352 -3.31876 0.00 -0.39 -0.13 -1.65
C 1.38818 -1.81132 -1.84615 -0.15 -0.03 -0.52 -0.86
C 2.28597 -0.75272 -1.64876 -0.17 0.43 -0.41 -0.73
H 3.42098 3.60898 -2.00526 0.05 0.12 0.02 0.42
H 1.75587 3.03298 -1.90045 -0.16 0.05 0.12 0.19
H 2.57307 3.14998 -3.45996 -0.06 -0.03 -0.12 0.43
H 3.68228 1.38228 -1.23306 -0.18 0.02 -0.02 0.29
H 4.05218 1.33478 -4.24926 0.01 -0.01 -0.18 0.39
H 4.87588 0.28398 -3.08815 0.06 -0.13 -0.03 0.39
H 5.16798 2.02298 -3.06445 0.17 0.07 -0.09 0.45
H 1.22607 1.32538 -4.09896 0.06 0.12 -0.07 0.54
H -0.15143 -0.59952 -4.61846 -0.17 -0.04 -0.06 0.45
=====
How you spend your time is how you show what matters to you.
All of this is subject to change.